- - -
Entry 1:
Compound: HoGaCo
Source: the Materials Project database
Functional: r2SCAN
Structure: optimized geometry

Magnetization ... 0.00 μB per formula unit
SG ... No. 62
ρ ... 9.5 Mg/m³
E_form ... -45 kJ per mole of atoms
V ... 17.134 Å³/atom

Cell lengths 4.3702, 6.7357, 6.9851 Å; angles 90.00, 90.00, 90.00 degrees
Positions (direct):
Ga 0.2500 0.8913 0.6953
Co 0.2500 0.5627 0.8499
Co 0.7500 0.4373 0.1501
Ga 0.2500 0.6087 0.1953
Co 0.2500 0.9373 0.3499
Co 0.7500 0.0627 0.6501
Ho 0.7500 0.6958 0.4759
Ho 0.7500 0.8042 0.9759
Ga 0.7500 0.3912 0.8047
Ga 0.7500 0.1088 0.3047
Ho 0.2500 0.3042 0.5241
Ho 0.2500 0.1958 0.0241

***

Entry 2:
Compound: CaZnGe
Source: the Materials Project database
Functional: r2SCAN
Structure: optimized geometry

Magnetization ... 0.00 μB per formula unit
SG ... No. 194
ρ ... 4.6 Mg/m³
E_form ... -60 kJ per mole of atoms
V ... 21.668 Å³/atom

Cell lengths 4.2562, 4.2562, 8.2871 Å; angles 90.00, 90.00, 120.00 degrees
Positions (direct):
Ca 0.0000 0.0000 0.5000
Ca 0.0000 0.0000 0.0000
Zn 0.6667 0.3333 0.7500
Zn 0.3333 0.6667 0.2500
Ge 0.3333 0.6667 0.7500
Ge 0.6667 0.3333 0.2500

***

Entry 3:
Compound: GePd2
Source: the Materials Project database
Functional: r2SCAN
Structure: optimized geometry

Magnetization ... 0.00 μB per formula unit
SG ... No. 189
ρ ... 10.5 Mg/m³
E_form ... -51 kJ per mole of atoms
V ... 15.079 Å³/atom

Cell lengths 6.6931, 6.6931, 3.4979 Å; angles 90.00, 90.00, 120.00 degrees
Positions (direct):
Ge 0.0000 0.0000 0.5000
Ge 0.3333 0.6667 0.0000
Pd 0.7334 0.7334 0.0000
Pd 0.6064 0.0000 0.5000
Pd 0.0000 0.6064 0.5000
Pd 0.2666 0.0000 0.0000
Pd 0.3936 0.3936 0.5000
Pd 0.0000 0.2666 0.0000
Ge 0.6667 0.3333 0.0000

----------

The following is a PBE calculation of a geometry-optimized AlPO4 structure, from the Materials Project.

Cell and atoms, written as POSCAR:
```
AlPO4
1.0
0.037 0.000 -17.006
-9.363 -16.230 0.020
-9.363 16.230 0.020
Al P O
36 36 144
direct
0.872 0.002 0.577
0.872 0.577 0.002
0.866 0.433 0.433
0.903 0.170 0.506
0.903 0.506 0.170
0.626 0.000 0.413
0.626 0.413 0.000
0.644 0.168 0.658
0.644 0.658 0.168
0.648 0.329 0.507
0.648 0.507 0.329
0.404 0.010 0.590
0.404 0.590 0.010
0.409 0.426 0.426
0.372 0.180 0.504
0.372 0.504 0.180
0.152 0.002 0.425
0.152 0.425 0.002
0.136 0.171 0.669
0.136 0.669 0.171
0.127 0.343 0.503
0.127 0.503 0.343
0.886 0.833 0.337
0.886 0.337 0.833
0.898 0.668 0.504
0.898 0.504 0.668
0.644 0.818 0.490
0.644 0.490 0.818
0.391 0.826 0.338
0.391 0.338 0.826
0.375 0.672 0.496
0.375 0.496 0.672
0.132 0.841 0.505
0.132 0.505 0.841
0.621 0.586 0.586
0.160 0.578 0.578
0.812 0.005 0.418
0.812 0.418 0.005
0.828 0.179 0.666
0.828 0.666 0.179
0.836 0.332 0.510
0.836 0.510 0.332
0.561 0.174 0.504
0.561 0.504 0.174
0.593 0.995 0.583
0.593 0.583 0.995
0.596 0.413 0.413
0.341 0.001 0.422
0.341 0.422 0.001
0.321 0.176 0.670
0.321 0.670 0.176
0.310 0.342 0.504
0.310 0.504 0.342
0.092 0.174 0.504
0.092 0.504 0.174
0.061 0.008 0.580
0.061 0.580 0.008
0.050 0.435 0.435
0.831 0.824 0.500
0.831 0.500 0.824
0.578 0.818 0.326
0.578 0.326 0.818
0.561 0.663 0.486
0.561 0.486 0.663
0.323 0.844 0.510
0.323 0.510 0.844
0.077 0.833 0.334
0.077 0.334 0.833
0.087 0.674 0.507
0.087 0.507 0.674
0.804 0.590 0.590
0.344 0.582 0.582
0.849 0.098 0.664
0.849 0.664 0.098
0.848 0.342 0.434
0.848 0.434 0.342
0.973 0.999 0.558
0.973 0.558 0.999
0.965 0.462 0.462
0.814 0.003 0.499
0.814 0.499 0.003
0.804 0.508 0.508
0.856 0.081 0.428
0.856 0.428 0.081
0.881 0.191 0.607
0.881 0.607 0.191
0.872 0.405 0.588
0.872 0.588 0.405
0.878 0.253 0.494
0.878 0.494 0.253
0.840 0.250 0.754
0.840 0.754 0.250
0.004 0.152 0.496
0.004 0.496 0.152
0.574 0.087 0.429
0.574 0.429 0.087
0.725 0.009 0.395
0.725 0.395 0.009
0.611 0.995 0.503
0.611 0.503 0.995
0.613 0.493 0.493
0.631 0.073 0.655
0.631 0.655 0.073
0.632 0.341 0.419
0.632 0.419 0.341
0.587 0.176 0.584
0.587 0.584 0.176
0.608 0.236 0.491
0.608 0.491 0.236
0.742 0.179 0.640
0.742 0.640 0.179
0.748 0.326 0.525
0.748 0.525 0.326
0.377 0.110 0.667
- - -
What is needed: copy the whole of the block further above with every line break kept.
Entry 1:
Compound: HoGaCo
Source: the Materials Project database
Functional: r2SCAN
Structure: optimized geometry

Magnetization ... 0.00 μB per formula unit
SG ... No. 62
ρ ... 9.5 Mg/m³
E_form ... -45 kJ per mole of atoms
V ... 17.134 Å³/atom

Cell lengths 4.3702, 6.7357, 6.9851 Å; angles 90.00, 90.00, 90.00 degrees
Positions (direct):
Ga 0.2500 0.8913 0.6953
Co 0.2500 0.5627 0.8499
Co 0.7500 0.4373 0.1501
Ga 0.2500 0.6087 0.1953
Co 0.2500 0.9373 0.3499
Co 0.7500 0.0627 0.6501
Ho 0.7500 0.6958 0.4759
Ho 0.7500 0.8042 0.9759
Ga 0.7500 0.3912 0.8047
Ga 0.7500 0.1088 0.3047
Ho 0.2500 0.3042 0.5241
Ho 0.2500 0.1958 0.0241

***

Entry 2:
Compound: CaZnGe
Source: the Materials Project database
Functional: r2SCAN
Structure: optimized geometry

Magnetization ... 0.00 μB per formula unit
SG ... No. 194
ρ ... 4.6 Mg/m³
E_form ... -60 kJ per mole of atoms
V ... 21.668 Å³/atom

Cell lengths 4.2562, 4.2562, 8.2871 Å; angles 90.00, 90.00, 120.00 degrees
Positions (direct):
Ca 0.0000 0.0000 0.5000
Ca 0.0000 0.0000 0.0000
Zn 0.6667 0.3333 0.7500
Zn 0.3333 0.6667 0.2500
Ge 0.3333 0.6667 0.7500
Ge 0.6667 0.3333 0.2500

***

Entry 3:
Compound: GePd2
Source: the Materials Project database
Functional: r2SCAN
Structure: optimized geometry

Magnetization ... 0.00 μB per formula unit
SG ... No. 189
ρ ... 10.5 Mg/m³
E_form ... -51 kJ per mole of atoms
V ... 15.079 Å³/atom

Cell lengths 6.6931, 6.6931, 3.4979 Å; angles 90.00, 90.00, 120.00 degrees
Positions (direct):
Ge 0.0000 0.0000 0.5000
Ge 0.3333 0.6667 0.0000
Pd 0.7334 0.7334 0.0000
Pd 0.6064 0.0000 0.5000
Pd 0.0000 0.6064 0.5000
Pd 0.2666 0.0000 0.0000
Pd 0.3936 0.3936 0.5000
Pd 0.0000 0.2666 0.0000
Ge 0.6667 0.3333 0.0000

----------

The following is a PBE calculation of a geometry-optimized AlPO4 structure, from the Materials Project.

Cell and atoms, written as POSCAR:
```
AlPO4
1.0
0.037 0.000 -17.006
-9.363 -16.230 0.020
-9.363 16.230 0.020
Al P O
36 36 144
direct
0.872 0.002 0.577
0.872 0.577 0.002
0.866 0.433 0.433
0.903 0.170 0.506
0.903 0.506 0.170
0.626 0.000 0.413
0.626 0.413 0.000
0.644 0.168 0.658
0.644 0.658 0.168
0.648 0.329 0.507
0.648 0.507 0.329
0.404 0.010 0.590
0.404 0.590 0.010
0.409 0.426 0.426
0.372 0.180 0.504
0.372 0.504 0.180
0.152 0.002 0.425
0.152 0.425 0.002
0.136 0.171 0.669
0.136 0.669 0.171
0.127 0.343 0.503
0.127 0.503 0.343
0.886 0.833 0.337
0.886 0.337 0.833
0.898 0.668 0.504
0.898 0.504 0.668
0.644 0.818 0.490
0.644 0.490 0.818
0.391 0.826 0.338
0.391 0.338 0.826
0.375 0.672 0.496
0.375 0.496 0.672
0.132 0.841 0.505
0.132 0.505 0.841
0.621 0.586 0.586
0.160 0.578 0.578
0.812 0.005 0.418
0.812 0.418 0.005
0.828 0.179 0.666
0.828 0.666 0.179
0.836 0.332 0.510
0.836 0.510 0.332
0.561 0.174 0.504
0.561 0.504 0.174
0.593 0.995 0.583
0.593 0.583 0.995
0.596 0.413 0.413
0.341 0.001 0.422
0.341 0.422 0.001
0.321 0.176 0.670
0.321 0.670 0.176
0.310 0.342 0.504
0.310 0.504 0.342
0.092 0.174 0.504
0.092 0.504 0.174
0.061 0.008 0.580
0.061 0.580 0.008
0.050 0.435 0.435
0.831 0.824 0.500
0.831 0.500 0.824
0.578 0.818 0.326
0.578 0.326 0.818
0.561 0.663 0.486
0.561 0.486 0.663
0.323 0.844 0.510
0.323 0.510 0.844
0.077 0.833 0.334
0.077 0.334 0.833
0.087 0.674 0.507
0.087 0.507 0.674
0.804 0.590 0.590
0.344 0.582 0.582
0.849 0.098 0.664
0.849 0.664 0.098
0.848 0.342 0.434
0.848 0.434 0.342
0.973 0.999 0.558
0.973 0.558 0.999
0.965 0.462 0.462
0.814 0.003 0.499
0.814 0.499 0.003
0.804 0.508 0.508
0.856 0.081 0.428
0.856 0.428 0.081
0.881 0.191 0.607
0.881 0.607 0.191
0.872 0.405 0.588
0.872 0.588 0.405
0.878 0.253 0.494
0.878 0.494 0.253
0.840 0.250 0.754
0.840 0.754 0.250
0.004 0.152 0.496
0.004 0.496 0.152
0.574 0.087 0.429
0.574 0.429 0.087
0.725 0.009 0.395
0.725 0.395 0.009
0.611 0.995 0.503
0.611 0.503 0.995
0.613 0.493 0.493
0.631 0.073 0.655
0.631 0.655 0.073
0.632 0.341 0.419
0.632 0.419 0.341
0.587 0.176 0.584
0.587 0.584 0.176
0.608 0.236 0.491
0.608 0.491 0.236
0.742 0.179 0.640
0.742 0.640 0.179
0.748 0.326 0.525
0.748 0.525 0.326
0.377 0.110 0.667